Friday, August 8, 2008

Points for the 2nd and 3rd opinions

I ended up taking them to the urgent care center last night around 7:15 pm. I kind of just knew that if I didn't, I'd end up in the ER with at least one of them during the night. The doctor spent all of literally about 30 seconds listening to the lungs of the two of them, and quickly diagnosed them both with bronchitis. The nurse tossed us orders for Zithromax and Rondec (a cough medicine) for both the girls. I went straight to CVS to have them filled. While I was waiting, I couldn't help, but concentrate on the lack of faith I had in the doctor and his diagnosis. The girls were feeling yucky, but nothing too bad. Within the twenty minutes it took to get the meds and make it home, Anna had fallen asleep after complaining she was really cold. Well, I pull her out of the car and she's burning hot. I checked her temp when we got inside, and it had spiked up to 103. I got the rounds of meds and breathing treatments in them, and got them into bed, but that wasn't before Anna starting throwing up from the fever and coughing that just wouldn't let up for her. Eventually it did, and she fell asleep around 10:30 pm. I felt so awful for her. We all know how terrible we feel when we are sick, and then have a fever that high.

Ryan was at a class last night during all of this. He's taking a course for the next three and a half weeks that is helping to prepare him to pass his nursing licensing exam. Today he's off because he has to work Saturday.

So, I started this morning with a call to the girls' pulmonologist. She was at the hospital for today seeing patients, and wouldn't be able to see the kids, but the office staff promised to get the message to her. I then called their allergy/asthma doctor. She too was not in the office today. So, I finally called their pediatrician who also specializes in asthma to a degree. They of course go the girls in within an hour of calling. So, we rushed to get ready, and drove over to the pediatrician. He checked them both, and concluded that they do NOT have bronchitis, and did not need to be on the antibiotic (Zithromax). He advised us to continue with the asthma medications we're already doing. If they aren't getting better by Monday he wants to see them again to then possibly start them on Orapred (oral prednisone-a steroid). He felt that they just had a respiratory bug, and didn't need to be on the antibiotic. While there he had to remove a lot of wax from Mere's ears in order to check them for an infection. This proved to be quite traumatic for her, as it usually is, and she cried herself to sleep on the way home. Her ears actually bled a bit from it too which was a bit scary for us, but the doctor assurred us that this is common.

Just as we got home, their pulmonologist called me. Did I mention I LOVE this doctor! She's simply wonderful. So, she wanted to know what was going on with the girls. I proceeded to tell her everything. She gave me some info on using another asthma medication we have if it's absolulely necessary, and also told me to continue with the antibiotic. She felt that because Anna not only had the spike in fever last night but also a low grade fever for several days, she has an infection her body is fighting, and it would be best to keep her on the antibiotic to prevent her from possibly developing pneumonia. She also said that if the kids are not getting better by Monday, they will most likely need to start the Orapred.

So, we are home. The girls are resting, drinking fluids, and taking their big ole' bucket full of meds.

We'll update again on Monday probably.

'''
# MgAg3 | Materials Project | PBE | optimized geometry
# E_tot, eV/atom: -2.6863
# Calculated formation energy, eV per atom: -0.162
data_MgAg3
_chemical_formula_sum 'Mg2 Ag6'
_cell_length_a 5.8806
_cell_length_b 5.8806
_cell_length_c 4.8330
_cell_angle_alpha 90.00
_cell_angle_beta 90.00
_cell_angle_gamma 120.00
_symmetry_space_group_name_H-M 'P 63/m m c'
_symmetry_Int_Tables_number 194
_symmetry_space_group_name_Hall '-P 6c 2c'
loop_
_atom_site_label
_atom_site_fract_x
_atom_site_fract_y
_atom_site_fract_z
'''

Thank you for the prayers and kind works! They love you all!!!

Oh! And on a side note, Meredith no longer sleeps in a crib! Last night was her first night in a big girl bed, and she did wonderfully! She slept in it the entire night, never fell out, and didn't come out of her room until we went in to get her this morning. Such a big girl now!

1 comment:

Sunshine Mom said...

ugg... im soo sorry about hearing all of this!! my little bugs are sick:( hug and kiss them. but not for me as i too have the yucky respitory bug:( it started in the plane:( yuck!! hugs to all of you!!!!